[Work order]
Your job: return the whole of the rows below without altering anything.

[Contents]
a.
# BeAlRh2 (PBE, relaxed)
data_BeAlRh2
_chemical_formula_sum 'Be1 Al1 Rh2'
_cell_length_a 2.967
_cell_length_b 2.967
_cell_length_c 5.758
_cell_angle_alpha 90.00
_cell_angle_beta 90.00
_cell_angle_gamma 90.00
_space_group_name_H-M_alt 'P 4 m m'
_space_group_IT_number 99
loop_
_space_group_symop_operation_xyz
'x,y,z'
'-y,x,z'
'-x,-y,z'
'y,-x,z'
'-x,y,z'
'y,x,z'
'x,-y,z'
'-y,-x,z'
loop_
_atom_site_label
_atom_site_fract_x
_atom_site_fract_y
_atom_site_fract_z
Be1 0.000 0.000 0.000
Al1 0.500 0.500 0.739
Rh1 0.000 0.000 0.507
Rh2 0.500 0.500 0.170
# - D(E_F) (states/eV/f.u.) = 1.8

---

b.
# BeAlRh2 (PBE, relaxed)
data_BeAlRh2
_chemical_formula_sum 'Be4 Al4 Rh8'
_cell_length_a 5.810
_cell_length_b 5.810
_cell_length_c 5.810
_cell_angle_alpha 90.00
_cell_angle_beta 90.00
_cell_angle_gamma 90.00
_space_group_name_H-M_alt 'F m -3 m'
_space_group_IT_number 225
_space_group_name_Hall '-F 4 2 3'
loop_
_atom_site_label
_atom_site_fract_x
_atom_site_fract_y
_atom_site_fract_z
Be1 0.000 0.000 0.000
Al1 0.000 0.000 0.500
Rh1 0.250 0.250 0.250
# - D(E_F) (states/eV/f.u.) = 1.1

---

b (298 meV/atom below the next structure)

---

a.
# BeAlRh2 (PBE, relaxed)
data_BeAlRh2
_chemical_formula_sum 'Be2 Al2 Rh4'
_cell_length_a 2.886
_cell_length_b 3.978
_cell_length_c 8.807
_cell_angle_alpha 90.00
_cell_angle_beta 90.00
_cell_angle_gamma 90.00
_space_group_name_H-M_alt 'I m m 2'
_space_group_IT_number 44
loop_
_space_group_symop_operation_xyz
'x,y,z'
'-x,-y,z'
'-x,y,z'
'x,-y,z'
'x+1/2,y+1/2,z+1/2'
'-x+1/2,-y+1/2,z+1/2'
'-x+1/2,y+1/2,z+1/2'
'x+1/2,-y+1/2,z+1/2'
loop_
_atom_site_label
_atom_site_fract_x
_atom_site_fract_y
_atom_site_fract_z
Be1 0.000 0.000 0.000
Al1 0.000 0.500 0.249
Rh1 0.000 0.000 0.485
Rh2 0.000 0.500 0.716
# - D(E_F) (states/eV/f.u.) = 3.1

---

b.
# BeAlRh2 (PBE, relaxed)
data_BeAlRh2
_chemical_formula_sum 'Be4 Al4 Rh8'
_cell_length_a 5.952
_cell_length_b 5.952
_cell_length_c 5.952
_cell_angle_alpha 90.00
_cell_angle_beta 90.00
_cell_angle_gamma 90.00
_space_group_name_H-M_alt 'F -4 3 m'
_space_group_IT_number 216
_space_group_name_Hall 'F -4 2 3'
loop_
_atom_site_label
_atom_site_fract_x
_atom_site_fract_y
_atom_site_fract_z
Be1 0.000 0.000 0.000
Al1 0.250 0.250 0.750
Rh1 0.000 0.000 0.500
Rh2 0.250 0.250 0.250
# - D(E_F) (states/eV/f.u.) = 4.9

---

c.
# BeAlRh2 (PBE, relaxed)
data_BeAlRh2
_chemical_formula_sum 'Be2 Al2 Rh4'
_cell_length_a 2.864
_cell_length_b 4.606
_cell_length_c 8.157
_cell_angle_alpha 90.00
_cell_angle_beta 90.00
_cell_angle_gamma 90.00
_space_group_name_H-M_alt 'C m m 2'
_space_group_IT_number 35
loop_
_space_group_symop_operation_xyz
'x,y,z'
'-x,-y,z'
'-x,y,z'
'x,-y,z'
'x+1/2,y+1/2,z'
'-x+1/2,-y+1/2,z'
'-x+1/2,y+1/2,z'
'x+1/2,-y+1/2,z'
loop_
_atom_site_label
_atom_site_fract_x
_atom_site_fract_y
_atom_site_fract_z
Be1 0.000 0.000 0.000
Al1 0.000 0.500 0.742
Rh1 0.000 0.000 0.500
Rh2 0.000 0.500 0.207
# - D(E_F) (states/eV/f.u.) = 4.6

---

d.
# BeAlRh2 (PBE, relaxed)
data_BeAlRh2
_chemical_formula_sum 'Be2 Al2 Rh4'
_cell_length_a 3.502
_cell_length_b 3.502
_cell_length_c 8.361
_cell_angle_alpha 90.00
_cell_angle_beta 90.00
_cell_angle_gamma 90.00
_space_group_name_H-M_alt 'I -4 m 2'
_space_group_IT_number 119
_space_group_name_Hall 'I -4 -2'
loop_
_atom_site_label
_atom_site_fract_x
_atom_site_fract_y
_atom_site_fract_z
Be1 0.000 0.000 0.000
Al1 0.000 0.500 0.250
Rh1 0.000 0.000 0.500
Rh2 0.000 0.500 0.750
# - D(E_F) (states/eV/f.u.) = 3.0

---

a (97 meV/atom below the next structure)

---

a.
# BeAlRh2 (PBE, relaxed)
data_BeAlRh2
_chemical_formula_sum 'Be1 Al1 Rh2'
_cell_length_a 2.898
_cell_length_b 2.902
_cell_length_c 5.789
_cell_angle_alpha 90.00
_cell_angle_beta 90.19
_cell_angle_gamma 90.00
_space_group_name_H-M_alt 'P 1 2/m 1'
_space_group_IT_number 10
loop_
_space_group_symop_operation_xyz
'x,y,z'
'-x,-y,-z'
'-x,y,-z'
'x,-y,z'
loop_
_atom_site_label
_atom_site_fract_x
_atom_site_fract_y
_atom_site_fract_z
Be1 0.000 0.000 0.000
Al1 0.000 0.000 0.500
Rh1 0.499 0.500 0.236

[Solution]
a.
# BeAlRh2 (PBE, relaxed)
data_BeAlRh2
_chemical_formula_sum 'Be1 Al1 Rh2'
_cell_length_a 2.967
_cell_length_b 2.967
_cell_length_c 5.758
_cell_angle_alpha 90.00
_cell_angle_beta 90.00
_cell_angle_gamma 90.00
_space_group_name_H-M_alt 'P 4 m m'
_space_group_IT_number 99
loop_
_space_group_symop_operation_xyz
'x,y,z'
'-y,x,z'
'-x,-y,z'
'y,-x,z'
'-x,y,z'
'y,x,z'
'x,-y,z'
'-y,-x,z'
loop_
_atom_site_label
_atom_site_fract_x
_atom_site_fract_y
_atom_site_fract_z
Be1 0.000 0.000 0.000
Al1 0.500 0.500 0.739
Rh1 0.000 0.000 0.507
Rh2 0.500 0.500 0.170
# - D(E_F) (states/eV/f.u.) = 1.8

---

b.
# BeAlRh2 (PBE, relaxed)
data_BeAlRh2
_chemical_formula_sum 'Be4 Al4 Rh8'
_cell_length_a 5.810
_cell_length_b 5.810
_cell_length_c 5.810
_cell_angle_alpha 90.00
_cell_angle_beta 90.00
_cell_angle_gamma 90.00
_space_group_name_H-M_alt 'F m -3 m'
_space_group_IT_number 225
_space_group_name_Hall '-F 4 2 3'
loop_
_atom_site_label
_atom_site_fract_x
_atom_site_fract_y
_atom_site_fract_z
Be1 0.000 0.000 0.000
Al1 0.000 0.000 0.500
Rh1 0.250 0.250 0.250
# - D(E_F) (states/eV/f.u.) = 1.1

---

b (298 meV/atom below the next structure)

---

a.
# BeAlRh2 (PBE, relaxed)
data_BeAlRh2
_chemical_formula_sum 'Be2 Al2 Rh4'
_cell_length_a 2.886
_cell_length_b 3.978
_cell_length_c 8.807
_cell_angle_alpha 90.00
_cell_angle_beta 90.00
_cell_angle_gamma 90.00
_space_group_name_H-M_alt 'I m m 2'
_space_group_IT_number 44
loop_
_space_group_symop_operation_xyz
'x,y,z'
'-x,-y,z'
'-x,y,z'
'x,-y,z'
'x+1/2,y+1/2,z+1/2'
'-x+1/2,-y+1/2,z+1/2'
'-x+1/2,y+1/2,z+1/2'
'x+1/2,-y+1/2,z+1/2'
loop_
_atom_site_label
_atom_site_fract_x
_atom_site_fract_y
_atom_site_fract_z
Be1 0.000 0.000 0.000
Al1 0.000 0.500 0.249
Rh1 0.000 0.000 0.485
Rh2 0.000 0.500 0.716
# - D(E_F) (states/eV/f.u.) = 3.1

---

b.
# BeAlRh2 (PBE, relaxed)
data_BeAlRh2
_chemical_formula_sum 'Be4 Al4 Rh8'
_cell_length_a 5.952
_cell_length_b 5.952
_cell_length_c 5.952
_cell_angle_alpha 90.00
_cell_angle_beta 90.00
_cell_angle_gamma 90.00
_space_group_name_H-M_alt 'F -4 3 m'
_space_group_IT_number 216
_space_group_name_Hall 'F -4 2 3'
loop_
_atom_site_label
_atom_site_fract_x
_atom_site_fract_y
_atom_site_fract_z
Be1 0.000 0.000 0.000
Al1 0.250 0.250 0.750
Rh1 0.000 0.000 0.500
Rh2 0.250 0.250 0.250
# - D(E_F) (states/eV/f.u.) = 4.9

---

c.
# BeAlRh2 (PBE, relaxed)
data_BeAlRh2
_chemical_formula_sum 'Be2 Al2 Rh4'
_cell_length_a 2.864
_cell_length_b 4.606
_cell_length_c 8.157
_cell_angle_alpha 90.00
_cell_angle_beta 90.00
_cell_angle_gamma 90.00
_space_group_name_H-M_alt 'C m m 2'
_space_group_IT_number 35
loop_
_space_group_symop_operation_xyz
'x,y,z'
'-x,-y,z'
'-x,y,z'
'x,-y,z'
'x+1/2,y+1/2,z'
'-x+1/2,-y+1/2,z'
'-x+1/2,y+1/2,z'
'x+1/2,-y+1/2,z'
loop_
_atom_site_label
_atom_site_fract_x
_atom_site_fract_y
_atom_site_fract_z
Be1 0.000 0.000 0.000
Al1 0.000 0.500 0.742
Rh1 0.000 0.000 0.500
Rh2 0.000 0.500 0.207
# - D(E_F) (states/eV/f.u.) = 4.6

---

d.
# BeAlRh2 (PBE, relaxed)
data_BeAlRh2
_chemical_formula_sum 'Be2 Al2 Rh4'
_cell_length_a 3.502
_cell_length_b 3.502
_cell_length_c 8.361
_cell_angle_alpha 90.00
_cell_angle_beta 90.00
_cell_angle_gamma 90.00
_space_group_name_H-M_alt 'I -4 m 2'
_space_group_IT_number 119
_space_group_name_Hall 'I -4 -2'
loop_
_atom_site_label
_atom_site_fract_x
_atom_site_fract_y
_atom_site_fract_z
Be1 0.000 0.000 0.000
Al1 0.000 0.500 0.250
Rh1 0.000 0.000 0.500
Rh2 0.000 0.500 0.750
# - D(E_F) (states/eV/f.u.) = 3.0

---

a (97 meV/atom below the next structure)

---

a.
# BeAlRh2 (PBE, relaxed)
data_BeAlRh2
_chemical_formula_sum 'Be1 Al1 Rh2'
_cell_length_a 2.898
_cell_length_b 2.902
_cell_length_c 5.789
_cell_angle_alpha 90.00
_cell_angle_beta 90.19
_cell_angle_gamma 90.00
_space_group_name_H-M_alt 'P 1 2/m 1'
_space_group_IT_number 10
loop_
_space_group_symop_operation_xyz
'x,y,z'
'-x,-y,-z'
'-x,y,-z'
'x,-y,z'
loop_
_atom_site_label
_atom_site_fract_x
_atom_site_fract_y
_atom_site_fract_z
Be1 0.000 0.000 0.000
Al1 0.000 0.000 0.500
Rh1 0.499 0.500 0.236